By Greg Ellison
(Nov. 26, 2020) The Ocean Pines Environmental and Natural Assets Committee on Wednesday discussed revamped efforts to address the impact geese and other waterfowl have on area ponds, including the new water testing program.
Committee Chairman Ken Wolf said the group was updated on Nov. 18 about recent bacterial levels tests performed at two smaller ponds in the north and the larger South Gate Pond.
“A test was done and we’re awaiting the results,” he said.
Wolf said additional water samples would be taken this winter.
“It’s going to be tested several times based on the geese population, native and resident, and when they’re there in force,” he said.
The committee is looking to ascertain any water quality impacts from geese and other flocks of birds that congregate around the Pines’ ponds.
The testing is being conducted through a partnership with the Maryland Coastal Bays Program, whose assistance was sought by Environmental Committee board liaison Tom Janasek.
Testing includes quantitative polymerase chain reaction (PCR) and Next Generation Sequencing to identify environmental DNA.
• Misplaced data records:
<<<
Record 1
Material: Ac2ZnIn2
Method: DFT, PBE
State: relaxed

a = 5.0009 Å, b = 6.4145 Å, c = 10.8012 Å
α = 85.77°, β = 76.61°, γ = 67.06°
Fractional positions:
In 0.3640 0.1497 0.1223
In 0.9140 0.7338 0.4382
In 0.6360 0.8503 0.8777
In 0.0860 0.2662 0.5618
Ac 0.0830 0.7337 0.1003
Ac 0.6804 0.3033 0.3358
Ac 0.3196 0.6967 0.6642
Ac 0.9170 0.2663 0.8997
Zn 0.6241 0.1005 0.6513
Zn 0.3759 0.8995 0.3487

Space-group type ... No. 12
ΔH_f (0 K) ... -2.080 eV per formula unit


Record 2
Material: AcZn4In12
Method: DFT, PBE
State: relaxed

a = 8.3769 Å, b = 8.3769 Å, c = 8.3769 Å
α = 109.47°, β = 109.47°, γ = 109.47°
Fractional positions:
In 0.8410 0.6526 0.4937
In 0.4937 0.8410 0.6526
In 0.8116 0.1590 0.6526
In 0.6526 0.4937 0.8410
In 0.3474 0.5063 0.1590
In 0.5063 0.1590 0.3474
In 0.1590 0.3474 0.5063
In 0.1590 0.6526 0.8116
In 0.3474 0.1884 0.8410
In 0.1884 0.8410 0.3474
In 0.8410 0.3474 0.1884
In 0.6526 0.8116 0.1590
Zn 0.5000 0.0000 0.0000
Zn 0.0000 0.0000 0.5000
Zn 0.0000 0.5000 0.0000
Zn 0.5000 0.5000 0.5000
Ac 0.0000 0.0000 0.0000

Space-group type ... No. 204
ΔH_f (0 K) ... 0.373 eV per formula unit


Record 3
Material: Ac4Zn5In2
Method: DFT, PBE
State: relaxed

a = 5.0149 Å, b = 7.2780 Å, c = 8.7438 Å
α = 90.03°, β = 90.00°, γ = 90.00°
Fractional positions:
Zn 0.0000 0.5454 0.3321
Zn 0.0000 0.4546 0.6679
Zn 0.0000 0.7817 0.8505
Zn 0.0000 0.5000 0.0000
Zn 0.0000 0.2183 0.1495
Ac 0.5000 0.7425 0.5875
Ac 0.5000 0.2399 0.8820
Ac 0.5000 0.7601 0.1180
Ac 0.5000 0.2575 0.4125
In 0.0000 0.0710 0.6585
In 0.0000 0.9290 0.3415

Space-group type ... No. 10
ΔH_f (0 K) ... -2.339 eV per formula unit


Record 4
Material: Ac2ZnIn
Method: DFT, PBE
State: relaxed

a = 3.9717 Å, b = 3.9717 Å, c = 8.1644 Å
α = 90.00°, β = 90.00°, γ = 90.00°
Fractional positions:
Ac 0.0000 0.0000 0.2337
Ac 0.0000 0.0000 0.7663
In 0.5000 0.5000 0.5000
Zn 0.5000 0.5000 0.0000

Space-group type ... No. 123
ΔH_f (0 K) ... -1.304 eV per formula unit


Record 5
Material: Ac3ZnIn2
Method: DFT, PBE
State: relaxed

a = 5.7250 Å, b = 5.7250 Å, c = 14.0957 Å
α = 90.00°, β = 90.00°, γ = 120.00°
Fractional positions:
In 0.6667 0.3333 0.8317
In 0.0000 0.0000 0.0000
In 0.0000 0.0000 0.5000
In 0.3333 0.6667 0.1683
Ac 0.3333 0.6667 0.4168
Ac 0.0000 0.0000 0.2552
Ac 0.6667 0.3333 0.5832
Ac 0.3333 0.6667 0.9114
Ac 0.0000 0.0000 0.7448
Ac 0.6667 0.3333 0.0886
Zn 0.3333 0.6667 0.6654
Zn 0.6667 0.3333 0.3346

Space-group type ... No. 164
Relative energy among the computed polymorphs ... 10 meV/atom
ΔH_f (0 K) ... -2.099 eV per formula unit


Record 6
Material: AcZn4In
Method: DFT, PBE
State: relaxed

a = 5.6936 Å, b = 5.6936 Å, c = 5.6936 Å
α = 60.00°, β = 60.00°, γ = 60.00°
Fractional positions:
In 0.0000 0.0000 0.0000
Zn 0.6251 0.1246 0.6251
Zn 0.1246 0.6251 0.6251
Zn 0.6251 0.6251 0.6251
Zn 0.6251 0.6251 0.1246
Ac 0.2500 0.2500 0.2500

Space-group type ... No. 216
Relative energy among the computed polymorphs ... 0 meV/atom
ΔH_f (0 K) ... -0.785 eV per formula unit


Record 7
Material: Ac4Zn2In5
>>>
• The text goes on:
Wolf said despite lack of community support for earlier attempts to address the large goose population around the ponds, the committee is continuing the discussion in the hopes of discovering a permanent solution.
“We plan on really looking at this geese thing again from every opportunity and from every angle,” he said.
The water tests should help committee members understand if wildlife is the water pollution problem many people assume it is.
“Maybe it’s not too bad [and] we’ll see by these tests,” he said. “There is water access, so pollution in that pond, whatever’s there, will work its way down to Manklin Creek.”
The committee also talked about proposed signs that would warn the public of the dangers of feeding wildlife.
(Crystal structures, kept here for reference)
Material: NbNiBi3
Method: DFT, PBE
State: optimized geometry

The structure belongs to space group Pm-3m (No. 221); the cell edges are 5.116, 5.116 and 5.116 Å and the angles 90.00°, 90.00° and 90.00°. The asymmetric unit holds Nb at (0.000, 0.000, 0.000), Ni at (0.500, 0.500, 0.500) and Bi at (0.000, 0.500, 0.500).

As for the total magnetization: 2.6 μB/f.u. The calculation puts the volume at 26.8 A^3/atom. The formation energy comes out at 0.745 eV/atom.



Material: Pm5Y2Ho2
Method: DFT, PBE
State: optimized geometry

The structure belongs to space group P-1 (No. 2); the cell edges are 3.644, 7.603 and 11.559 Å and the angles 94.94°, 90.06° and 103.85°. The asymmetric unit holds Pm at (0.000, 0.000, 0.000), Pm at (0.217, 0.434, 0.610), Pm at (0.390, 0.778, 0.189), Y at (0.074, 0.146, 0.341) and Ho at (0.308, 0.618, 0.893).

As for the total magnetization: 0.0 μB/f.u. The calculation puts the volume at 34.4 A^3/atom. The formation energy comes out at 0.154 eV/atom.



Material: CePrI5
Method: DFT, PBE
State: optimized geometry

The structure belongs to space group P2_1/m (No. 11); the cell edges are 9.373, 4.347 and 15.084 Å and the angles 90.00°, 94.22° and 90.00°. The asymmetric unit holds Ce at (0.097, 0.250, 0.150), Pr at (0.416, 0.750, 0.344), I at (0.067, 0.750, 0.309), I at (0.140, 0.250, 0.930), I at (0.318, 0.250, 0.486), I at (0.349, 0.750, 0.128) and I at (0.362, 0.750, 0.714).

As for the total magnetization: 2.0 μB/f.u. For the uncorrected formation energy, the calculation gives -9.5 eV/f.u. The calculation puts the volume at 43.8 A^3/atom.



Material: LaCdSbTe2
Method: DFT, PBE
State: optimized geometry

The structure belongs to space group P4/mmm (No. 123); the cell edges are 5.604, 5.604 and 5.428 Å and the angles 90.00°, 90.00° and 90.00°. The asymmetric unit holds La at (0.000, 0.000, 0.000), Cd at (0.500, 0.500, 0.500), Sb at (0.500, 0.500, 0.000) and Te at (0.000, 0.500, 0.500).

As for the total magnetization: 0.0 μB/f.u. For the uncorrected formation energy, the calculation gives -0.8 eV/f.u. The calculation puts the volume at 34.1 A^3/atom.



Material: Ti3AlH
Method: DFT, PBE
State: optimized geometry

The structure belongs to space group P6_3/mmc (No. 194); the cell edges are 4.4754, 4.4754 and 8.0592 Å and the angles 90.00°, 90.00° and 120.00°. The asymmetric unit holds Ti at (0.0000, 0.0000, 0.2500), Ti at (0.3333, 0.6667, 0.0850), Al at (0.3333, 0.6667, 0.7500) and H at (0.0000, 0.0000, 0.0000).

For the raw total energy, the calculation gives -6.2528 eV per atom. As for the total magnetization: 0.0 μB/f.u. The calculation puts the volume at 14.0 A^3/atom.



Material: K2SrSc
Method: DFT, PBE
State: optimized geometry

The structure belongs to space group I4/mmm (No. 139); the cell edges are 5.334, 5.334 and 13.631 Å and the angles 90.00°, 90.00° and 90.00°. The asymmetric unit holds K at (0.000, 0.500, 0.250), Sr at (0.000, 0.000, 0.000) and Sc at (0.000, 0.000, 0.500).
Wolf said committee member Sharon Santacroce is compiling an article on the topic for the “Green Street” page in an upcoming Ocean Pines quarterly newsletter.
# Misplaced crystal structures
+++
NaMg2Pt: optimized geometry, PBE.

Cell and atoms, written as CIF:
```
data_NaMg2Pt
_cell_length_a 4.372
_cell_length_b 4.372
_cell_length_c 18.558
_cell_angle_alpha 90.00
_cell_angle_beta 90.00
_cell_angle_gamma 90.00
_symmetry_space_group_name_H-M 'I -4 2 d'
_symmetry_Int_Tables_number 122
_symmetry_space_group_name_Hall 'I -4 2bw'
loop_
_atom_site_label
_atom_site_fract_x
_atom_site_fract_y
_atom_site_fract_z
Na1 0.000 0.000 0.000
Mg1 0.208 0.250 0.625
Pt1 0.000 0.000 0.500
```

Summary:
Crystal system: tetragonal
Energy of formation from the pure elements: -13.0 meV/atom
Final energy: -42.40 eV/cell
Density: 5.0 g cm⁻³
DOS at the Fermi energy: 6.82 states/eV per cell

---

EuPdPb2: optimized geometry, PBE.

Cell and atoms, written as CIF:
```
data_EuPdPb2
_cell_length_a 3.6066
_cell_length_b 3.6066
_cell_length_c 31.6042
_cell_angle_alpha 90.00
_cell_angle_beta 90.00
_cell_angle_gamma 120.00
_symmetry_space_group_name_H-M 'R -3 m'
_symmetry_Int_Tables_number 166
_symmetry_space_group_name_Hall '-R 3 2"'
loop_
_atom_site_label
_atom_site_fract_x
_atom_site_fract_y
_atom_site_fract_z
Eu1 0.0000 0.0000 0.0000
Pd1 0.0000 0.0000 0.5000
Pb1 0.0000 0.0000 0.1045
```

Summary:
Crystal system: trigonal
Energy of formation from the pure elements: -59.8 meV/atom
Final energy: -69.37 eV/cell
Density: 9.4 g cm⁻³
DOS at the Fermi energy: 6.99 states/eV per cell

---

ZnHg2Ir: optimized geometry, PBE.

Cell and atoms, written as CIF:
```
data_ZnHg2Ir
_cell_length_a 3.098
_cell_length_b 3.098
_cell_length_c 7.889
_cell_angle_alpha 90.00
_cell_angle_beta 90.00
_cell_angle_gamma 90.00
_symmetry_space_group_name_H-M 'P 4 m m'
_symmetry_Int_Tables_number 99
_symmetry_space_group_name_Hall 'P 4 -2'
loop_
_atom_site_label
_atom_site_fract_x
_atom_site_fract_y
_atom_site_fract_z
Zn1 0.000 0.000 0.000
Hg1 0.000 0.000 0.587
Hg2 0.500 0.500 0.269
Ir1 0.500 0.500 0.830
```

Summary:
Crystal system: tetragonal
Energy of formation from the pure elements: 183.7 meV/atom
Final energy: -10.00 eV/cell
Density: 14.5 g cm⁻³
DOS at the Fermi energy: 1.41 states/eV per cell

----------

[1]
The following is a GGA-PBE calculation of PmCu6Ag2 after structural relaxation, from the Alexandria database.

* V: 305.7 Å³/cell
* total energy: -68.032 eV/cell
* ΔH_f (0 K): 0.11 eV/atom

a b c (Å): 3.8205 6.6035 12.1180
angles (deg): 90.00 90.00 90.00
Space group Immm (No. 71)
One atom of each set of equivalent atoms:
1 Pm 0.0000 0.0000 0.0000 [2 per cell]
2 Cu 0.0000 0.1796 0.5000 [4 per cell]
3 Cu 0.0000 0.3035 0.3137 [8 per cell]
4 Ag 0.0000 0.5000 0.1252 [4 per cell]

=====

[2]
The following is a GGA-PBE calculation of KAlRe after structural relaxation, from the Alexandria database.

* V: 345.1 Å³/cell
* total energy: -39.889 eV/cell
* ΔH_f (0 K): 2.44 eV/atom

a b c (Å): 7.0142 7.0142 7.0142
angles (deg): 90.00 90.00 90.00
Space group F-43m (No. 216)
One atom of each set of equivalent atoms:
1 K 0.0000 0.0000 0.0000 [4 per cell]
2 Al 0.2500 0.2500 0.2500 [4 per cell]
+++
# So much for the crystal structures
“You’re not doing them any favors,” he said.
Wolf said the article would educate the community to multiple issues that make hand feeding feathered fowl detrimental.
“We wanted to put something in along those lines to coordinate with these new geese signs,” he said.
Wolf said although the suggestion was not favorably received three years ago, the committee also vetted the concept of employing natural growth to deter birds from the ponds.
“The number one way that you stop resident geese from prospering … is if you grow grass and bushes,” he said. “Then they can’t have unfettered access to the land.”
Left unchecked, Wolf said the concern is the flock would become larger, with a corresponding increase in fecal matter around the water bodies.
“It’s going to be a nuisance and an impediment to walking in that park,” he said. “On top of that, you’ve got the potential for disease in the water impacting so many things.”
Committee members are working to avoid another instance of geese being euthanized to reduce numbers.
“You’re going to have an ongoing problem where the day is going to come where the question of euthanizing the geese is going to be there because there will be so many of them,” he said.
Wolf said the committee is striving to make the board aware problems are in store if the issue is not addressed.
“The day is coming for a real showdown and maybe this needs to go at some point to a referendum,” he said. “We don’t want to kill the geese, but we’re duty bound to control them.”